The Rise of No-Code Platforms: A Game-Changer for Credit Unions

Improve user experience without hiring expensive, specialized talent or enduring lengthy development cycles.

A better digital experience. (Image: Shutterstock)

In today’s world, digital transformation is a must. Unfortunately, many credit unions are lagging behind when it comes to making the necessary investments and resources to keep up with the digital leaders.

This is bad news, since 40-45% of affluent U.S.-based customers who switched their banks in the past 24 months moved to a digitally-led firm, according to McKinsey.

Credit unions, especially the smaller ones, are often constrained by limited resources; it can be challenging to keep up with their members’ demands for a better experience. As a result, despite being the customer experience leaders for years, credit unions are losing ground to digital-first players with access to more sophisticated technology and resources.

The digital divide between market leaders and digital laggards continues to widen. The good news is that no-code platforms are emerging as a powerful tool to level the playing field.

What Is No-code Development?

No-code development is a way of building sophisticated applications without dealing with complex development. It works by using pre-built components and visual drag-and-drop interfaces, allowing even non-technical users to quickly create powerful applications.

[Unrelated to this piece: quantum chemistry results]
'''
# 1
{
  "formula": "C4H3I",
  "method": "ωB97M-V/def2-TZVPD",
  "orbital_gap_ev": 7.733,
  "relative_energy_kj_mol": 462.6,
  "total_energy_ev": -12289.704,
  "symbols": ["I", "C", "C", "C", "C", "H", "H", "H"],
  "positions_angstrom": [[0.82011, 2.60036, -2.89698], [0.02306, 0.09760, -1.12115], [0.51180, 0.68891, 1.49294], [0.33465, 0.35134, 0.35120], [0.15616, 0.68947, -2.90418], [0.87612, 0.70600, 2.47492], [-1.14036, -0.17666, -1.18672], [0.26775, -1.00043, -1.27247]],
  "forces_ev_per_angstrom": [[0.2, 0.4, 0.0], [-2.6, -2.8, -1.3], [0.3, -0.7, -0.8], [-0.3, 1.3, -2.7], [0.0, -0.9, 4.0], [0.0, 0.3, 0.8], [2.0, 1.3, 0.1], [0.5, 1.2, -0.2]]
}

# 2
{
  "formula": "C4H3I",
  "method": "ωB97M-V/def2-TZVPD",
  "orbital_gap_ev": [5.813, 5.815],
  "relative_energy_kj_mol": 323.0,
  "total_energy_ev": -12291.152,
  "symbols": ["I", "C", "C", "C", "C", "H", "H", "H"],
  "positions_angstrom": [[2.79914, -0.51634, -0.11750], [-0.27066, 1.10416, 0.08795], [-0.33029, -0.26741, -0.20090], [0.39017, 2.10436, 0.30322], [-0.82574, -1.44710, -0.15489], [0.18875, 3.00011, 0.79625], [-0.13461, -2.20673, -0.30208], [-1.81675, -1.77106, -0.41206]],
  "forces_ev_per_angstrom": [[-1.6, -0.1, -0.1], [1.1, -2.8, -1.2], [1.6, 2.2, 1.2], [-2.0, 0.2, 0.3], [-0.6, -0.1, -1.3], [0.9, 1.6, 0.4], [1.3, -1.5, 0.2], [-0.8, 0.5, 0.4]]
}

# 3
{
  "formula": "C4H3InO6",
  "method": "ωB97M-V/def2-TZVPD",
  "multiplicity": 2,
  "orbital_gap_ev": [3.186, 9.163],
  "s2": 1.76,
  "total_energy_ev": -21642.034,
  "total_charge": 1,
  "symbols": ["In", "O", "O", "O", "O", "O", "O", "C", "C", "C", "C", "H", "H", "H"],
  "positions_angstrom": [[3.98299, 1.96335, 0.15188], [2.36636, -1.12976, -0.27672], [4.02943, 0.25395, -0.74500], [-3.91485, 1.41671, -1.51812], [-1.08117, -0.49125, 0.19646], [-4.65069, 0.52931, 0.42377], [2.52066, 0.89731, 0.70742], [2.95949, 0.01797, -0.09942], [1.06404, -1.30756, 0.31008], [-3.74504, 0.78290, -0.51325], [0.02059, -0.41670, -0.37945], [1.11878, -1.11636, 1.39193], [0.82250, -2.36606, 0.13989], [-5.49309, 0.96619, 0.21054]],
  "forces_ev_per_angstrom": [[4.4, 7.3, 0.5], [0.8, 0.9, -0.1], [0.3, -2.5, -1.4], [0.7, -0.8, 1.2], [4.6, 0.8, -3.1], [0.5, -0.3, 0.3], [-3.4, -1.7, 1.6], [-1.6, -3.9, -0.8], [0.3, -0.3, 0.0], [-1.3, 1.1, -1.3], [-5.0, -1.1, 3.8], [-0.2, 0.1, -0.4], [0.0, 0.4, -0.1], [0.0, 0.1, -0.2]]
}

# 4
{
  "formula": "C4H3LiO2Rb",
  "method": "ωB97M-V/def2-TZVPD",
  "multiplicity": 2,
  "orbital_gap_ev": [9.138, 7.996],
  "relative_energy_kj_mol": 504.6,
  "s2": 0.77,
  "total_energy_ev": -9129.365,
  "total_charge": 2,
  "symbols": ["Rb", "O", "O", "C", "C", "C", "C", "Li", "H", "H", "H"],
'''

No-code platforms are perfect for any kind of digital transformation project that you might have in mind – from online account opening to member engagement initiatives. Here are a few examples of what processes within a credit union can be transformed with no-code tools:

5 Reasons Why CUs Should Consider No-code Platforms in 2023

The good news is that no-code platforms have emerged as a powerful tool for credit unions to level the playing field and keep up with their digital-first peers. No-code solutions are user-friendly, cost-effective and require minimal IT resources to implement, making them ideal for cash-strapped credit unions looking to improve their digital presence quickly and efficiently.

1. Faster development: No-code platforms allow users to build applications quickly, with no coding experience needed. This means that credit unions are able to develop new products and services much faster than they could before, giving them an edge over their competition.

2. Reduced costs: No-code platforms reduce the cost of development. By minimizing the need to hire expensive software developers, no-code tools make it easier and more affordable for credit unions to digitize their operations. It means credit unions can move faster on their digital initiatives while keeping the costs in check.

3. Improved user experience: No-code tools provide a smoother user experience by making the member journey simpler and more streamlined. It also allows credit unions to customize member experiences according to the individual needs of each user.

4. Scalability: No-code solutions allow credit unions to quickly scale up their operations when needed without investing in additional infrastructure or technical personnel.

5. Increase flexibility to quickly respond to changes in the market: No-code solutions provide greater flexibility than traditional software development solutions, since they can be easily customized and modified depending on the needs of each particular credit union.

Essentially, no-code platforms enable credit unions to take advantage of the latest developments in user experience without having to hire expensive and specialized talent or get bogged down in lengthy development cycles.

In an increasingly competitive digital-first world, no-code can be the tool that gives credit unions back the edge. Credit unions should start looking into how a no-code platform could help them in 2023 and beyond.

How to Select Your First No-code Project

Before taking the leap to no-code development, it is important to understand your organization’s capabilities and limitations. It is also essential to identify a project that will have the most impact and deliver the greatest ROI for your credit union.

No-code platforms are a great way for credit unions to quickly and affordably upgrade their digital capabilities and keep up with competition from increasingly sophisticated digital challengers. With the right tools, credit unions have all they need to stay competitive and meet their members’ expectations for a modern and digital banking experience.

Tal Daskal

********
*one*
ORCA calculation (ωB97M-V/def2-TZVPD) on a single C25H26N4O3S molecule.

Geometry as ORCA input:
```
! wB97M-V def2-TZVPD RIJCOSX def2/J DEFGRID3
* xyz 0 1
C 5.461 2.027 -0.981
C 5.622 0.618 -1.539
C 4.613 -0.374 -0.960
C 4.863 -0.682 0.515
C 3.885 -1.714 1.079
N 2.517 -1.227 1.041
C 1.630 -1.599 0.081
N 0.431 -1.155 -0.041
C -0.009 -0.211 0.844
C -1.295 0.316 0.693
C -1.758 1.264 1.584
C -0.937 1.708 2.630
C 0.328 1.196 2.789
C 0.806 0.231 1.900
C 2.155 -0.303 2.034
O 2.944 -0.007 2.906
H 0.977 1.525 3.586
H -1.323 2.464 3.295
C -3.112 1.889 1.463
O -3.337 3.026 1.822
N -4.062 1.089 0.919
H -3.853 0.123 0.727
C -5.445 1.510 0.806
C -6.359 0.584 1.535
C -7.254 -0.342 1.082
C -7.816 -0.946 2.233
C -7.216 -0.347 3.296
O -6.335 0.577 2.884
H -7.326 -0.484 4.353
H -8.560 -1.716 2.260
H -7.490 -0.560 0.060
H -5.486 2.516 1.237
H -5.740 1.552 -0.248
H -1.877 -0.015 -0.153
S 2.143 -2.797 -1.099
C 0.679 -2.799 -2.186
C 0.406 -1.450 -2.770
C 1.426 -0.670 -3.304
C 1.109 0.578 -3.815
N -0.117 1.070 -3.830
C -1.088 0.322 -3.338
C -0.885 -0.939 -2.800
H -1.710 -1.512 -2.405
H -2.077 0.761 -3.372
H 1.876 1.219 -4.229
H 2.446 -1.025 -3.307
H -0.168 -3.157 -1.604
H 0.930 -3.523 -2.963
H 4.128 -1.902 2.129
H 3.939 -2.651 0.520
H 5.874 -1.074 0.639
H 4.777 0.227 1.110
H 4.669 -1.308 -1.525
H 3.607 0.036 -1.086
H 5.491 0.652 -2.623
H 6.634 0.259 -1.340
H 5.671 2.054 0.085
H 6.147 2.709 -1.478
H 4.446 2.386 -1.142
*
```

## Properties
HOMO: -8.59 eV
Structure (SMILES): CCCCCn1c(SCc2ccncc2)nc2cc(C(=O)NCc3ccco3)ccc2c1=O
HOMO-LUMO gap: 8.7 eV

*two*
ORCA calculation (ωB97M-V/def2-TZVPD) on a single C25H26N4O3S molecule.

Geometry as ORCA input:
```
! wB97M-V def2-TZVPD RIJCOSX def2/J DEFGRID3
* xyz 0 1
O 0.251 2.466 -4.284
C 0.024 1.640 -3.429
N 0.906 0.671 -3.085
H 0.680 0.049 -2.325
C 2.272 0.651 -3.560
C 3.221 0.800 -2.417
C 3.295 1.738 -1.428
C 4.349 1.333 -0.573
C 4.835 0.179 -1.103
O 4.156 -0.155 -2.216
H 5.634 -0.470 -0.802
H 4.691 1.833 0.309
H 2.682 2.610 -1.331
H 2.484 -0.287 -4.083
H 2.360 1.485 -4.264
C -1.246 1.600 -2.597
C -0.987 2.370 -1.297
C -2.071 2.115 -0.253
C -1.837 2.887 1.045
H -2.742 2.857 1.654
H -1.626 3.932 0.814
C -0.682 2.355 1.899
N -0.923 0.993 2.345
C -0.265 -0.085 1.844
N -0.493 -1.309 2.164
C -1.455 -1.583 3.095
C -1.729 -2.912 3.432
C -2.683 -3.190 4.383
C -3.381 -2.161 5.016
C -3.125 -0.849 4.691
C -2.163 -0.547 3.725
C -1.890 0.835 3.354
O -2.425 1.809 3.838
H -3.651 -0.032 5.161
H -4.125 -2.399 5.762
H -2.895 -4.216 4.645
H -1.180 -3.698 2.936
S 1.035 0.208 0.684
C 1.615 -1.498 0.370
C 1.055 -2.041 -0.903
C 1.884 -2.468 -1.934
C 1.301 -2.948 -3.098
N -0.004 -3.018 -3.285
C -0.794 -2.620 -2.303
C -0.321 -2.127 -1.097
H -1.002 -1.823 -0.317
H -1.856 -2.701 -2.493
H 1.911 -3.291 -3.924
H 2.957 -2.426 -1.836
H 1.273 -2.073 1.232
H 2.703 -1.442 0.340
H -0.599 2.976 2.795
H 0.263 2.383 1.354
H -3.037 2.412 -0.665
H -2.126 1.044 -0.039
H -0.017 2.070 -0.897
H -0.938 3.437 -1.521
H -2.058 2.065 -3.156
H -1.513 0.565 -2.376
*
```
********
(So much for the calculated molecules)

Tal Daskal is the CEO and Co-Founder of EasySend, a Tel Aviv, Israel-based provider of a no-code digital platform to financial institutions and insurance companies.